**Brief**
Please count the lines further down that contain the word "Cartesian" and give the number alone.

**File**
+++
Density functional theory data (ωB97M-V/def2-TZVPD) for a structure of composition C51H151AgO25 in a non-equilibrium geometry.

Last column: Löwdin spin population.
Cartesian coordinates (Å):
Ag  8.02  -18.44  -14.07  0.47
O  14.47  -22.85  -8.56  0.00
O  4.57  -20.07  -10.14  0.00
O  10.12  -17.69  -14.55  0.01
O  11.94  -24.27  -7.70  0.00
O  7.28  -21.16  -6.15  0.00
O  13.12  -16.10  -18.87  0.00
O  12.61  -17.48  -13.13  0.00
O  6.51  -22.60  -14.63  0.01
O  6.40  -21.26  -11.64  0.00
O  9.37  -18.15  -18.69  0.00
O  4.16  -21.17  -15.85  0.00
O  10.29  -16.24  -11.06  0.00
O  5.15  -18.52  -13.86  0.00
O  10.43  -26.28  -18.18  0.00
O  7.93  -17.42  -11.98  0.03
O  7.73  -18.76  -16.40  0.02
O  16.79  -22.69  -16.74  0.00
O  12.73  -14.72  -12.20  0.00
O  4.92  -18.82  -16.86  0.00
O  5.49  -23.96  -12.13  0.00
O  7.99  -20.40  -13.66  0.39
O  9.70  -26.47  -14.76  0.00
O  10.76  -16.47  -16.83  0.00
O  5.84  -17.59  -10.27  0.00
O  7.24  -15.92  -14.58  0.01
C  10.64  -26.24  -8.38  0.00
C  5.71  -17.23  -8.94  0.00
C  4.77  -19.47  -19.16  0.00
C  5.29  -17.04  -18.49  0.00
C  6.14  -24.92  -11.37  0.00
C  12.16  -24.84  -18.73  0.00
C  10.87  -25.45  -19.26  0.00
C  7.06  -23.49  -15.69  0.00
C  13.86  -22.75  -10.88  0.00
C  10.90  -26.33  -12.68  0.00
C  11.31  -14.17  -13.99  0.00
C  13.72  -19.64  -13.28  0.00
C  10.08  -23.88  -9.29  0.00
C  10.04  -19.39  -18.96  0.00
C  9.75  -20.15  -11.90  0.00
C  9.27  -20.29  -19.92  0.00
C  6.00  -24.54  -9.88  0.00
C  8.68  -20.16  -7.89  0.00
C  1.89  -21.39  -16.32  0.00
C  14.62  -17.57  -14.27  0.00
C  9.67  -21.74  -6.12  0.00
C  7.02  -22.71  -16.94  0.00
C  10.60  -16.59  -9.70  0.00
C  11.58  -24.94  -14.71  0.00
C  15.40  -23.04  -16.83  0.00
C  12.64  -13.80  -13.33  0.00
C  14.93  -23.68  -15.51  0.00
C  13.17  -20.94  -9.30  0.00
C  6.37  -15.89  -8.87  0.00
C  4.54  -18.33  -18.20  0.00
C  10.68  -24.75  -8.12  0.00
C  14.24  -21.99  -9.69  0.00
C  12.66  -12.40  -12.78  0.00
C  6.19  -24.73  -15.77  0.00
C  2.78  -21.66  -13.95  0.00
C  10.40  -20.06  -17.63  0.00
C  4.20  -17.13  -8.58  0.00
C  10.44  -25.60  -13.94  0.00
C  15.10  -16.94  -19.74  0.00
C  13.78  -18.33  -18.10  0.00
C  10.65  -15.42  -8.81  0.00
C  14.25  -16.90  -18.54  0.00
C  10.23  -21.26  -14.11  0.00
C  13.89  -18.12  -13.10  0.00
C  9.22  -20.95  -13.04  0.03
C  11.87  -17.44  -9.75  0.00
C  2.88  -20.92  -15.30  0.00
C  9.84  -24.39  -19.54  0.00
C  14.58  -21.92  -17.28  0.00
C  7.57  -25.01  -11.79  0.00
C  8.40  -21.33  -6.98  0.00
H  3.46  -18.10  -18.15  0.00
H  9.64  -21.76  -14.89  0.00
H  10.08  -20.91  -5.54  0.00
H  10.55  -23.96  -10.28  0.00
H  5.22  -20.73  -10.54  0.00
H  5.81  -19.79  -19.16  0.00
H  10.72  -26.87  -7.49  0.00
H  14.45  -17.00  -20.65  0.00
H  14.67  -16.49  -14.12  0.00
H  11.36  -15.15  -14.47  0.00
H  14.68  -20.16  -13.20  0.00
H  4.55  -19.17  -13.44  0.00
H  5.38  -18.43  -10.43  0.00
H  6.10  -25.30  -14.84  0.00
H  13.47  -18.90  -18.99  0.00
H  9.52  -20.38  -8.56  0.00
H  5.04  -24.06  -9.64  0.00
H  1.77  -21.58  -13.55  0.00
H  12.97  -18.34  -17.35  0.00
H  9.63  -26.44  -8.73  0.00
H  7.16  -15.49  -13.71  0.00
H  13.35  -15.24  -19.25  0.00
H  12.36  -25.70  -14.87  0.00
H  8.07  -23.80  -15.40  0.00
H  4.08  -16.61  -7.64  0.00
H  12.45  -24.06  -19.46  0.00
H  10.42  -17.42  -15.43  0.00
H  5.93  -15.09  -9.50  0.00
H  7.39  -20.46  -5.51  0.00
H  12.16  -24.71  -6.87  0.00
H  8.82  -17.13  -11.76  0.00
H  5.17  -16.21  -17.79  0.00
H  9.73  -14.84  -8.86  0.00
H  14.10  -17.83  -15.20  0.00
H  10.48  -20.26  -14.49  0.00
H  6.79  -23.86  -9.59  0.00
H  10.96  -19.12  -19.53  0.00
H  3.57  -18.04  -8.55  0.00
H  8.21  -25.63  -11.17  0.00
H  10.27  -26.68  -15.51  0.00
H  10.17  -19.18  -12.20  0.00
H  2.97  -22.74  -14.05  0.00
H  15.82  -16.15  -19.87  0.00
H  14.70  -22.92  -14.74  0.00
H  10.50  -22.11  -6.73  0.00
H  11.05  -15.85  -11.53  0.00
H  14.66  -18.85  -17.72  0.00
H  5.92  -23.92  -13.00  0.00
+++

**Here it is**
1